An electronically available multimorbidity map has been made with the participation of Semmelweis University’s researchers. The map shows the comorbidity of various diseases and the links between the 250 most important illnesses. The open database, which was made with the use of innovative methods of biostatistics, provides hundreds of thousands of data. It allows a quick research of links between different diseases, such as the most frequently occurring cardiovascular diseases in case of diabetes, or the separate comorbidity map of depression.

“The links between 250 important diseases are available in the recently published comorbidity map, which is accessible only in English. The diseases range from psychiatric, neurological and endocrine diseases through cardiovascular and locomotor diseases to the dysfunction of blood forming organs.”, Dr. György Bagdy, Vice-Rector for Scientific Affairs said, who is one of the authors of the paper.

# Attached: materials data
____________
# AlRh

AlRh after structural relaxation (PBE-GGA, Alexandria via LeMat-Bulk).

```
AlRh
1.0
-2.844 1.926 -8.162
0.014 -2.861 -0.680
-5.870 -0.686 2.765
Rh Al
6 6
Direct
0.227 0.500 0.003
0.335 0.000 0.388
0.504 0.000 0.024
0.662 0.000 0.643
0.832 0.000 0.279
0.940 0.500 0.664
0.992 0.000 0.981
0.083 0.500 0.333
0.174 0.000 0.686
0.438 0.500 0.701
0.583 0.500 0.333
0.729 0.500 0.966
```

Computed properties:
ΔE_f = -0.81 eV per atom
Size of the total moment = 0.00 μB per cell
VASP energy = -12.72 eV per formula unit

=====

! PBE with a Hubbard U BaCr2BF, optimized geometry; values from VASP
&SYSTEM
  ibrav = 0, nat = 5, ntyp = 4
/
ATOMIC_SPECIES
Cr 52.00 Cr.upf
B 10.81 B.upf
Ba 137.33 Ba.upf
F 19.00 F.upf
CELL_PARAMETERS angstrom
4.1875 0.0000 0.0000
0.0000 6.7581 0.0000
0.0000 0.0000 4.1875
ATOMIC_POSITIONS angstrom
Cr 0.0000 0.0000 2.0937
Cr 2.0937 0.0000 0.0000
B 0.0000 0.0000 0.0000
Ba 2.0937 3.3791 2.0937
F 0.0000 3.3791 0.0000
! E_tot   -26.77 eV/f.u.
! Total moment   8.3 Bohr magnetons per cell
! SG   No. 123

=====

No. 1
VASP calculation (PBE) on a relaxed structure of CsYHfTe3.

Its electronic total energy is -32.73 eV per formula unit. Its total magnetic moment is 0.33 μB per formula unit.

It has space group Cmcm (No. 63), with a = 4.498 Å, b = 17.541 Å, c = 11.541 Å, α = 90.00°, β = 90.00° and γ = 90.00°. Symmetry generates all atoms from Cs at (0.000, 0.246, 0.250), Y at (0.000, 0.500, 0.000), Hf at (0.000, 0.031, 0.750), Te at (0.000, 0.121, 0.552) and Te at (0.000, 0.433, 0.750).

=====

No. 2
VASP calculation (PBE) on a relaxed structure of CsHfTh.

The energy above the most stable polymorph in this dataset is 0 meV per atom. Its electronic total energy is -13.15 eV per formula unit. Its total magnetic moment is 0.97 μB per formula unit.

It has space group F-43m (No. 216), with a = 7.707 Å, b = 7.707 Å, c = 7.707 Å, α = 90.00°, β = 90.00° and γ = 90.00°. Symmetry generates all atoms from Cs at (0.000, 0.000, 0.000), Hf at (0.250, 0.250, 0.250) and Th at (0.000, 0.000, 0.500).

=====

No. 3
VASP calculation (PBE) on a relaxed structure of CsHfTh.

The energy above the most stable polymorph in this dataset is 245 meV per atom. Its electronic total energy is -12.42 eV per formula unit. Its total magnetic moment is 0.01 μB per formula unit.

It has space group F-43m (No. 216), with a = 7.429 Å, b = 7.429 Å, c = 7.429 Å, α = 90.00°, β = 90.00° and γ = 90.00°. Symmetry generates all atoms from Cs at (0.000, 0.000, 0.000), Hf at (0.250, 0.250, 0.750) and Th at (0.250, 0.250, 0.250).

=====

[1]
# RbMn3Co

A relaxed structure of RbMn3Co (GGA-PBE, Alexandria via LeMat-Bulk).

Cell lengths 4.302, 4.302, 4.302 Å; angles 90.00, 90.00, 90.00 degrees
Fractional coordinates of all 5 atoms:
Rb  0.000  0.000  0.000
Mn  0.000  0.000  0.500
Mn  0.000  0.500  0.000
Mn  0.500  0.000  0.000
Co  0.500  0.500  0.500

Output
Crystal system: cubic
Final energy, eV/atom: -3.778



[2]
# PuTaAl
____________

The paper authored by researchers from Semmelweis University, Budapest University of Technology and Economics and the University of Manchester has recently been published in the journal PLOS Computational Biology. The basis for the research was provided by a biobank in the United Kingdom, from which the data of 117,000 participants were analysed. There is free access to the publication ( which makes it possible for everybody to carry out interactive searches in the comorbidity map.

“Browsing the map could be interesting for medical researchers, physicians or even laymen, because the comorbidity of diseases is a common and well-known phenomenon.”, Dr. György Bagdy said.

=====
Record 1
The following is a DFT calculation (GGA-PBE) of a geometry-optimized InNi2Cl structure.

E_form (uncorrected) = 0.264 eV/atom
Magnetic moment = 0.8 μB per cell
Space group = Pmmm, No. 47

abc: 3.0061 4.1183 5.3738
angles: 90.00 90.00 90.00
Atoms (fractional coordinates):
In 0.0000 0.0000 0.0000
Ni 0.0000 0.5000 0.5000
Ni 0.5000 0.5000 0.0000
Cl 0.5000 0.0000 0.5000


Record 2
The following is a DFT calculation (GGA-PBE) of a geometry-optimized InNi2Cl structure.

E_form (uncorrected) = 0.199 eV/atom
Magnetic moment = 0.0 μB per cell
Space group = I-42d, No. 122

abc: 7.4881 7.4881 7.4881
angles: 142.85 142.85 53.54
Atoms (fractional coordinates):
In 0.0000 0.0000 0.0000
In 0.7500 0.2500 0.5000
Ni 0.2484 0.6250 0.1234
Ni 0.3750 0.4984 0.6234
Ni 0.5016 0.1250 0.8766
Ni 0.8750 0.7516 0.3766
Cl 0.2500 0.7500 0.5000
Cl 0.5000 0.5000 0.0000


Record 3
The following is a DFT calculation (GGA-PBE) of a geometry-optimized InNi2Cl structure.

E_form (uncorrected) = 0.123 eV/atom
Magnetic moment = 0.0 μB per cell
Space group = R-3m, No. 166

abc: 7.5758 7.5758 7.5758
angles: 24.08 24.08 24.08
Atoms (fractional coordinates):
In 0.0000 0.0000 0.0000
Ni 0.2459 0.2459 0.2459
Ni 0.7541 0.7541 0.7541
Cl 0.5000 0.5000 0.5000


Record 4
The following is a DFT calculation (GGA-PBE) of a geometry-optimized InNi2Cl structure.

E_form (uncorrected) = 0.351 eV/atom
Magnetic moment = 0.3 μB per cell
Space group = P4/mmm, No. 123

abc: 4.4756 4.4756 3.1254
angles: 90.00 90.00 90.00
Atoms (fractional coordinates):
In 0.0000 0.0000 0.0000
Ni 0.0000 0.5000 0.5000
Ni 0.5000 0.0000 0.5000
Cl 0.5000 0.5000 0.0000


Record 5
The following is a DFT calculation (GGA-PBE) of a geometry-optimized InNi2Cl structure.

E_form (uncorrected) = 0.110 eV/atom
Magnetic moment = 1.1 μB per cell
Space group = R3m, No. 160

abc: 7.7729 7.7729 7.7729
angles: 24.65 24.65 24.65
Atoms (fractional coordinates):
In 0.0000 0.0000 0.0000
Ni 0.2539 0.2539 0.2539
Ni 0.5213 0.5213 0.5213
Cl 0.7959 0.7959 0.7959


Record 6
The following is a DFT calculation (GGA-PBE) of a geometry-optimized InNiCl structure.

E_form (uncorrected) = -0.163 eV/atom
Magnetic moment = 0.0 μB per cell
Space group = P3m1, No. 156

abc: 3.5563 3.5563 5.3846
angles: 90.00 90.00 120.00
Atoms (fractional coordinates):
In 0.0000 0.0000 0.0000
Ni 0.6667 0.3333 0.7214
Cl 0.3333 0.6667 0.4612


Record 7
The following is a DFT calculation (GGA-PBE) of a geometry-optimized InNiCl structure.

E_form (uncorrected) = 0.432 eV/atom
Magnetic moment = 0.0 μB per cell
Space group = F-43m, No. 216

abc: 4.6316 4.6316 4.6316
angles: 60.00 60.00 60.00
Atoms (fractional coordinates):
In 0.0000 0.0000 0.0000
Ni 0.7500 0.7500 0.7500
Cl 0.2500 0.2500 0.2500


Record 8
The following is a DFT calculation (GGA-PBE) of a geometry-optimized InNi2Cl structure.

E_form (uncorrected) = 0.310 eV/atom
Magnetic moment = 0.7 μB per cell
Space group = I-4m2, No. 119

abc: 5.8234 5.8234 5.8234
angles: 144.32 144.32 51.35
Atoms (fractional coordinates):
=====
== Back to the page ==

Depending on the different variables that can be entered (disease pairs, groups), the system may provide hundreds of thousands of results. The map can answer such questions as whether there are direct links between a patient’s multiple diseases (eg. a shared and damaged biochemical pathway or a mutually shared genetic problem) or their coexistence is merely accidental. The link between diseases is visually displayed by a line, whose thickness indicates the strength of the connection.

Dr. Andrea Juhász, associate professor of the Department of Pharmacodynamics and author of the publication illustrated the mechanism of the programme with the example of diabetes.

“In case of type 2 diabetes we are able to search for those cardiovascular diseases that are closely related to it with the help of statistical data. Based on the results, high blood pressure and angina (chest pain) are closely related to diabetes, whereas stroke is a threat to patients with diabetes because of the potential development of hypertonia or cardiac arrest.”, she said.

Several networks of diseases have been drawn up by the researchers, including the multimorbidity map of depression. This clearly shows that depression is strongly connected to the other psychiatric diseases, but it is also related to obesity and other physical deformities and diseases. A direct link between migraine and depression has also been found, even though not in the case of all patients. However, the previously assumed link between diabetes and depression turned out to be indirect, and is caused by obesity in case of patients with depression.

“Understanding the comorbidity of diseases and knowing whether the various diseases of the patient are linked mean an important step towards making an accurate diagnosis, and choosing appropriate examinations and medication.”, Dr. Gabriella Juhász said.  

The realisation of the map was done by the research group lead by Dr. Péter Antal, associate professor at the Budapest University of Technology and Economics with the use of innovative methods of biostatistics.

-- Crystal structures that have nothing to do with the article --
PmY2Er2 after structural relaxation. Source: Alexandria via LeMat-Bulk, functional PBE.

Properties
Crystal system = tetragonal
Energy relative to the lowest polymorph listed for this composition = 0 meV/atom
Space-group type = No. 127
Energy of formation = 0.43 eV per formula unit

a b c (Å): 9.3873 9.3873 3.7238
angles (deg): 90.00 90.00 90.00
With the nearest neighbours (Å) after each atom.
Positions (direct):
Er 0.3755 0.1245 0.0000  6 Y 3.28-3.38, 1 Er 3.31
Er 0.8755 0.3755 0.0000  6 Y 3.28-3.38, 1 Er 3.31
Er 0.6245 0.8755 0.0000  6 Y 3.28-3.38, 1 Er 3.31
Er 0.1245 0.6245 0.0000  6 Y 3.28-3.38, 1 Er 3.31
Y 0.1725 0.3275 0.5000  6 Er 3.28-3.38
Y 0.6725 0.1725 0.5000  6 Er 3.28-3.38
Y 0.8275 0.6725 0.5000  6 Er 3.28-3.38
Y 0.3275 0.8275 0.5000  6 Er 3.28-3.38
Pm 0.0000 0.0000 0.0000  4 Er 3.71, 2 Pm 3.72, 8 Y 3.94
Pm 0.5000 0.5000 0.0000  4 Er 3.71, 2 Pm 3.72, 8 Y 3.94

Tb2Pm2Sc after structural relaxation. Source: Alexandria via LeMat-Bulk, functional PBE.

Properties
Crystal system = monoclinic
Energy relative to the lowest polymorph listed for this composition = 0 meV/atom
Space-group type = No. 12
Energy of formation = 0.49 eV per formula unit

a b c (Å): 8.6553 9.0502 6.4056
angles (deg): 69.72 47.50 59.13
With the nearest neighbours (Å) after each atom.
Positions (direct):
Tb 0.7361 0.9208 0.0000  6 Pm 3.46-3.74, 3 Tb 3.54-3.66, 2 Sc 3.61
Tb 0.4047 0.3833 0.0000  3 Tb 3.28-3.66, 4 Sc 3.44-3.62, 4 Pm 3.47-3.61
Tb 0.2639 0.0792 0.0000  6 Pm 3.46-3.74, 3 Tb 3.54-3.66, 2 Sc 3.61
Tb 0.5953 0.6167 0.0000  3 Tb 3.28-3.66, 4 Sc 3.44-3.62, 4 Pm 3.47-3.61
Pm 0.9576 0.7875 0.3696  2 Sc 3.21-3.41, 2 Pm 3.34-3.49, 3 Tb 3.46-3.54
Pm 0.0424 0.2125 0.6304  2 Sc 3.21-3.41, 2 Pm 3.34-3.49, 3 Tb 3.46-3.54
Pm 0.6728 0.2125 0.3696  2 Sc 3.21-3.41, 2 Pm 3.34-3.49, 3 Tb 3.46-3.54
Pm 0.3272 0.7875 0.6304  2 Sc 3.21-3.41, 2 Pm 3.34-3.49, 3 Tb 3.46-3.54
Sc 0.1585 0.5000 0.6830  1 Sc 2.99, 2 Pm 3.21
Sc 0.8415 0.5000 0.3170  1 Sc 2.99, 2 Pm 3.21

MgPaZnCo after structural relaxation. Source: Alexandria via LeMat-Bulk, functional PBE.

Properties
Crystal system = cubic
Space-group type = No. 216
Energy of formation = -0.02 eV per formula unit

a b c (Å): 4.6752 4.6752 4.6752
angles (deg): 60.00 60.00 60.00
With the nearest neighbours (Å) after each atom.
Positions (direct):
Co 0.5000 0.5000 0.5000  4 Pa 2.86, 4 Mg 2.86
Pa 0.2500 0.2500 0.2500  4 Zn 2.86, 4 Co 2.86
Zn 0.0000 0.0000 0.0000  4 Mg 2.86, 4 Pa 2.86
Mg 0.7500 0.7500 0.7500  4 Co 2.86, 4 Zn 2.86

KSb4Ir after structural relaxation. Source: Alexandria via LeMat-Bulk, functional PBE.

Properties
Crystal system = cubic
ΔE_f (raw) = 645 meV per atom
Space-group type = No. 216

a b c (Å): 6.1982 6.1982 6.1982
angles (deg): 60.00 60.00 60.00
With the nearest neighbours (Å) after each atom.
Positions (direct):
Sb 0.8717 0.3761 0.3761  6 Sb 3.07-3.13
Sb 0.3761 0.3761 0.3761  6 Sb 3.07-3.13
Sb 0.3761 0.8717 0.3761  6 Sb 3.07-3.13
Sb 0.3761 0.3761 0.8717  6 Sb 3.07-3.13
Ir 0.7500 0.7500 0.7500  12 Sb 3.63, 4 K 3.80
-- The crystal structures stop here --

Pálma Dobozi
Photo: Attila Kovács, Semmelweis University
Translation: Ágnes Raubinek